STEM Discovery Week 2016

22 to 29 April will be the STEM Discovery Week, celebrating STEM Careers and studies!;

STEM Discovery Week 2018

"Say YES to STEM"

STEM Discovery Week 2019

“Best practices in using innovative STEM resources”

STEM Discovery Week 2020

“Innovative Trends in Education”

STEM Discovery Week 2021

"Sustainability and Citizenship"

STEM Discovery Week 2022

"STEM for all"

STEM Discovery Week 2023

"STEM Identities"


       Today is a great day in the STEM Education sphere! With the release of the new and powerful, STEM School Label, European schools have now an advanced tool to evaluate and develop their STEM strategies! 
With its unique self-assessment process, STEM School Label provides schools with area of development, based on a set of key criteria, to reach their STEM goals. Striving to offer the best guidance, STEM School Label delivers a personalized action plan according to each school's self-assessment results, case studies and practice evidences. Following a review of their scores, schools can then apply for their STEM School Label!
Besides, STEM School Label is more than just a tool or a certification! It is a collaborative environment and a meeting point for actors of STEM education in Europe. By registering to the platform, school staffs, teachers or head of schools have access to exclusive content. They can exchange about best practice, ask for advice, and share difficult cases and how they were solved.
      Curious to know more? The best way to discover all the possibilities that STEM School Label can offer to your school, is yet to visit the platform! Take a tour on the public site, follow STEM School Label on Twitter and, of course, register to get your Label!

STEM Alliance and Scientix webinar: Learning by doing with Cisco NetAcad - 25 April 2019

Gruparea rezistoarelor serie şi paralel

     În perioada 18.III.2019-02.IV.2019 cei 87 de elevi de clasa a VIII-a de la  Şcoala Gimnazială "Ioan Vlăduțiu" Luduș, județul Mureș, au învățat despre circuitele serie şi parel cu ajutorul laboratorului virtual "Circuit Lab "de pe platforma Go-Lab / Next-Lab. 
     Scenariul didactic ( se bazează pe “INQUIRY LEARNING SPACE (ILS): SERIES AND PARALLEL CIRCUITS”, resursă de pe platforma Scientix ( Lecțiile au fost integrate în curriculumul școlar.
     Organizaţi în echipe, elevii au efectuat sarcini de investigare, cum ar fi identificarea variabilelor, realizarea predicțiilor, efectuarea de experimente și deducerea concluziilor bazate pe dovezi. Elevii au proiectat experimente cu un circuit virtual și au dedus ecuațiile care guvernează comportamentul circuitului serie și paralel. La sfârșit au creat o prezentare sau un raport final al investigaţiei realizate, în care au inclus hărți conceptuale, ipoteze, observații etc. Toate prezentările și rapoartele au fost salvate și încărcate în ILS (Inquiry Learning Space).

Series And Parallel Circuits

-- Between two parts of the entry: molecular data --
Record 1
The following is a quantum chemistry calculation of C56H34AgF15GeIN6O2PS as an isolated structure, from the OMol25 dataset.

```
118
Properties=species:S:1:pos:R:3:forces:R:3
Ag 0.467527 0.907000 -0.125061 -0.2 0.4 0.1
N 2.992091 0.935793 2.860473 -0.1 -0.1 -0.2
C 1.670111 0.782334 3.261257 0.2 0.0 0.0
C 1.408432 0.868080 4.642138 0.0 0.0 0.0
C 0.120850 0.677251 5.084403 -0.1 0.0 0.0
C -0.889582 0.416775 4.160781 0.1 0.0 0.0
C -0.536146 0.372791 2.826177 0.0 0.0 -0.1
N 0.714150 0.547680 2.384256 -0.1 -0.1 -0.1
C 3.642749 0.962232 1.613169 -0.2 0.0 0.3
C 5.044083 0.910660 1.657671 0.0 0.0 0.1
C 5.746671 1.006559 0.479643 0.0 0.0 0.0
C 5.047159 1.144233 -0.711644 0.0 0.0 0.0
C 3.669555 1.149539 -0.648684 -0.1 0.0 0.0
N 2.966202 1.058442 0.486363 0.1 0.1 0.0
H 3.629661 1.016779 3.630935 0.0 0.0 0.0
H 2.212500 1.083875 5.336486 0.0 0.0 0.0
H -0.099958 0.736872 6.144717 0.0 0.0 0.0
H -1.916406 0.261952 4.466371 0.0 0.0 0.0
H -1.270226 0.209483 2.039446 0.1 0.0 0.0
H 5.555093 0.786216 2.606203 0.0 0.0 0.0
H 6.829458 0.966805 0.488415 0.0 0.0 0.0
H 5.549169 1.230561 -1.665104 0.0 0.0 0.0
H 3.084714 1.227965 -1.556723 0.0 0.0 0.1
I 2.222283 2.079728 -7.467873 0.0 0.0 0.0
C 2.030617 2.729451 -5.478754 0.0 0.0 0.0
C 2.425174 4.019061 -5.148655 -0.1 0.0 0.2
C 2.285035 4.442252 -3.830541 0.0 0.0 -0.2
C 1.762451 3.604445 -2.849461 0.1 0.0 -0.2
C 1.383403 2.319183 -3.216264 0.0 0.0 -0.1
C 1.510358 1.866244 -4.527396 0.0 0.1 0.1
C 1.642007 4.126815 -1.401962 -0.1 0.4 0.1
O 1.931955 5.336695 -1.264161 -0.1 -0.3 0.1
O 1.270973 3.299606 -0.542601 0.2 0.1 -0.2
H 2.832860 4.679566 -5.903635 0.0 0.0 0.0
H 2.569599 5.441214 -3.526561 0.0 0.0 0.0
H 0.968578 1.662421 -2.462700 -0.1 -0.1 0.1
H 1.213695 0.858841 -4.789973 0.0 0.0 0.0
C -4.066367 -2.682385 0.491271 0.1 0.0 -0.1
N -3.353398 -1.929213 -0.524075 0.4 -0.1 -0.2
C -4.144695 -1.096702 -1.422761 0.0 0.1 0.1
C -2.093237 -1.544433 -0.276604 -0.7 0.3 0.2
N -1.036072 -1.138434 -0.068929 0.1 -0.5 0.1
H -4.668321 -3.462957 0.019000 0.0 0.0 0.0
H -4.726369 -2.030051 1.072042 0.0 0.0 0.0
H -3.348589 -3.152507 1.161702 0.0 0.0 0.0
H -4.776672 -1.731971 -2.047067 0.0 0.0 0.0
H -3.474116 -0.523656 -2.058013 0.0 0.0 0.0
H -4.772800 -0.397194 -0.861376 0.0 -0.1 -0.1
N -1.665377 1.667016 -0.217539 -0.1 -0.2 -0.1
P -2.647535 2.810152 -0.147388 -0.1 0.1 0.2
C -2.376905 4.031949 1.221936 0.0 0.0 0.1
C -2.224277 3.501549 2.507526 0.0 0.1 0.0
C -1.893232 4.302524 3.588860 0.0 0.0 -0.1
C -1.680881 5.664325 3.402477 0.0 0.0 -0.1
C -1.782838 6.200267 2.127340 0.0 -0.1 0.0
C -2.124133 5.389764 1.047637 0.0 0.1 0.0
C -4.410408 2.227592 0.131113 0.0 -0.1 0.0
C -5.458248 2.394774 -0.774005 -0.1 0.0 0.0
C -6.683558 1.748955 -0.598760 0.1 0.1 0.0
C -6.889152 0.921566 0.493944 0.0 0.0 0.0
C -5.850488 0.728644 1.401126 0.0 0.1 0.0
C -4.630425 1.359603 1.208392 0.0 0.1 0.0
C -2.869470 3.926160 -1.601380 0.0 0.0 0.0
C -3.763083 4.993353 -1.699624 0.0 0.0 0.0
C -3.807958 5.772853 -2.848377 0.1 -0.1 0.0

    The 87 8th grade students from Secondary School “Ioan Vlăduţiu” Luduş, Mureş County, Romania, have learned in the two-week period (18.III.2019-02.IV.2019) about the parallel and serial circuits with the “Electrical Circuit Lab” from Go-Lab / Next-Lab platform.
     The didactic scenario ( is based on INQUIRY LEARNING SPACE (ILS): SERIES AND PARALLEL CIRCUITS, resuorce on the Scientix platform (  The lessons have been integrated into the school curriculum.
    Organised in teams, they performed inquiry tasks such as identifying variables, making predictions, conducting experiments and drawing evidence-based conclusions. The students designed experiments with a virtual circuit and found the equations that govern the behavior of the serial and parallel circuit. At the end they have created a presentation or a final report of their work, in which they included concept maps, hypotheses,observations etc. All the presentations and the reports have been saved and uploaded to the Inquiry Learning Space

Ziua porților deschise la Liceul Tehnologic Nr. 1 Luduș


      Miercuri 17 aprilie 2017 elevii claselor a VIII-a au participat la “Zilele Porţilor Deschise” la Liceul Tehnologic Nr. 1, Luduş. Elevii au avut posibilitatea de a se informa despre baza materială şi oferta educatională a liceului. Cu această ocazie au fost organizate întâlniri cu elevi şi profesori, vizite în săli de cursuri, laboratoare, sala de sport etc. Au participat la lecţii demonstrative care au pus în evidenţă implicarea elevilor şi profesorilor în activităţi şcolare diverse. Au avut totodată posibilitatea de a pune întrebări cu privire la disciplinele caracteristice fiecărui profil şi la posibilităţile de continuare a studiilor.
La sfârşitului turului elevii au mulţumit gazdelor pentru primirea călduroasă.

“Open days” at Technological High School Nr. 1, Luduş

        On April 17, 2017 the students of the 8th grade participated in the "Open Days" at Technological High School Nr. 1, Luduş. Students had the opportunity to find out about the material basis and the high school education offer.
On this occasion, were organized meetings with students and teachers, visits to training rooms, laboratories, sports hall, etc.
They attended demonstrative lessons which highlighted the students’ and teachers’ involvement in school activities.
They also had the opportunity to ask questions about the subjects characteristic for each profile and the possibilities of continuing the studies in the same field.

At the end of the tour the students thanked to the hosts for their warm welcome.

Ce înseamnă să fii chimist?

     Răspunsul la această întrebare l-au aflat elevii claselor a VIII-a în urma unei sesiuni online cu Paul Cristian Marţian, student la Facultatea de Chimie și Inginerie Chimică, Universitatea Babeș-Bolyai şi voluntar în “Caravana de promovare a Facultății de Chimie și Inginerie Chimică”.
Pentru elevii claselor a VIII-a de la Şcoala Gimnazială “Ioan Vlăduţiu”, Luduş a fost o oportunitate de a interacţiona cu un student al acestei facultăţi şi de a se informa cu privire la o eventuală carieră în chimie.
Elevii au afla răspunsurile la întrebările puse de ei:
  • Când v-aţi dat seama că doriţi să faceţi facultatea de chimie?
  • Care sunt disciplinele de bază pentru a urma cursurile facultăţii de chimie?
  • Ce înseamnă să fii student la chimie?
  • Ca student al facultăţii de chimie ce vă place cel mai mult ?
  • Ca student al facultăţii de chimie ce vă place cel mai puţin?
  • Care sunt posibilităţile de angajare după absolvirea facultăţii?
     Răspunsurile primite i-au ajutat pe elevi să-şi formeze o imagine cu privire la facultatea de chimie şi la cariere posibile în laboratoarele de chimie și în domeniile legate de chimie cum ar fi industria farmaceutică (Gedeon Richter – Tg. Mureş, Terapia – Cluj-Napoca), industria produselor cosmetice (Farmec – Cluj-Napoca), industria îngrăşămintelor chimice (AZOMUREŞ – Tg. Mureş), producerea bateriilor (de masina, ion-litiu – ROMBAT), industria alimentară etc.

What is like to be scientist? What is like to be chemist?

The students of 8th grade from "Ioan Vlăduţiu" Secondary School found out the answers to this questions due the meeting with Paul Cristian Martian, a student of the Faculty of Chemistry and Chemical Engineering, Babeş-Bolyai University and a volunteer in the Caravan which promotes the Faculty of Chemistry and Chemical Engineering. For the students it was an opportunity to interact with a student of this faculty and to learn about a possible career in chemistry.
Paul Cristian Martian answered the following students' questions:
What did you do in the middle school and high school to prepare for university?
What other things you are doing to prepare for your career?
  • What is university really like?
  • How did you decide that this was the college you wanted to attend? Who helped you?
  • What types of courses are you taking?
  • How much fun is university?
  •  Do they take attendance in the classroom?
  • Is there anything about your high school years that you would change if you could?
  • Is there some advice you would like to share with students so they will not make the same mistakes?
  •  What are the career options after graduating from chemistry and chemical engineering?

The responses received raise students awareness around STEM careers related fields such as the pharmaceutical industry (Gedeon Richter - Tg Mures, Therapy - Cluj -Napoca), the cosmetics industry (Farmec - Cluj-Napoca), chemical fertilizers industry (AZOMUREŞ - Târgu Mureş), battery production, food industry, etc.